Biggest Reasons to Switch to a New Accounting Agency

AdminAssist August 24, 2020
7-minute read
Woman helping man with accounting

No one enjoys major changes, especially staffing and recruitment agencies that are in the middle of trying to figure out how to get through a pandemic in one piece. However, one change that may be very beneficial to their organization is making the switch from their current accounting agency to a different one. 

This is a change that over a third of small businesses are actively willing to make, provided that they find the right accounting agency to replace their current one. To help you figure out if it is the right time to make the switch to a new accounting agency, here are a few of the biggest reasons why you might want to do so. 

A Lack of Familiarity With Your Industry

At the end of the day, if your accounting firm is not actively strengthening your business, then they are not the right choice for you. And one of the many things that an accountant will need in order to properly help your business is a familiarity with the industry. 

Crystal structures from another source follow >
+++
# 1
# LiMnP4O12

A relaxed LiMnP4O12 crystal (PBE+U, Materials Project).

Output
As for the space-group type: Pbcn, No. 60. The total moment is 24.0 μB/cell. The value obtained for the total DFT energy (no corrections) is -0.259 hartree per atom. The crystal system is orthorhombic. The value obtained for the formation energy is -57.16 kcal/mol of atoms.

a = 13.333 Å, b = 8.349 Å, c = 9.536 Å
α = 90.00°, β = 90.00°, γ = 90.00°
Fractional coordinates of all 72 atoms:
Li  0.000  0.110  0.250
Li  0.000  0.890  0.750
Li  0.500  0.390  0.750
Li  0.500  0.610  0.250
Mn  0.000  0.494  0.250
Mn  0.000  0.506  0.750
Mn  0.500  0.006  0.750
Mn  0.500  0.994  0.250
P  0.140  0.322  0.005
P  0.140  0.678  0.505
P  0.152  0.037  0.510
P  0.152  0.963  0.010
P  0.348  0.463  0.010
P  0.348  0.537  0.510
P  0.360  0.178  0.505
P  0.360  0.822  0.005
P  0.640  0.178  0.995
P  0.640  0.822  0.495
P  0.652  0.463  0.490
P  0.652  0.537  0.990
P  0.848  0.037  0.990
P  0.848  0.963  0.490
P  0.860  0.322  0.495
P  0.860  0.678  0.995
O  0.067  0.320  0.125
O  0.067  0.680  0.625
O  0.080  0.046  0.630
O  0.080  0.954  0.130
O  0.109  0.402  0.871
O  0.109  0.598  0.371
O  0.123  0.128  0.380
O  0.123  0.872  0.880
O  0.178  0.146  0.969
O  0.178  0.854  0.469
O  0.240  0.405  0.067
O  0.240  0.595  0.567
O  0.260  0.095  0.567
O  0.260  0.905  0.067
O  0.322  0.354  0.469
O  0.322  0.646  0.969
O  0.377  0.372  0.880
O  0.377  0.628  0.380
O  0.391  0.098  0.371
O  0.391  0.902  0.871
O  0.420  0.454  0.130
O  0.420  0.546  0.630
O  0.433  0.180  0.625
O  0.433  0.820  0.125
O  0.567  0.180  0.875
O  0.567  0.820  0.375
O  0.580  0.454  0.370
O  0.580  0.546  0.870
O  0.609  0.098  0.129
O  0.609  0.902  0.629
O  0.623  0.372  0.620
O  0.623  0.628  0.120
O  0.678  0.354  0.031
O  0.678  0.646  0.531
O  0.740  0.095  0.933
O  0.740  0.905  0.433
O  0.760  0.405  0.433
O  0.760  0.595  0.933
O  0.822  0.146  0.531
O  0.822  0.854  0.031
O  0.877  0.128  0.120
O  0.877  0.872  0.620
O  0.891  0.402  0.629
O  0.891  0.598  0.129
O  0.920  0.046  0.870
O  0.920  0.954  0.370
O  0.933  0.320  0.375
O  0.933  0.680  0.875

=====

# 2
# KCa2Mg2V3O12

A relaxed KCa2Mg2V3O12 crystal (PBE+U, Materials Project).

Output
As for the space-group type: I4_1/acd, No. 142. The total moment is 0.0 μB/cell. The value obtained for the total DFT energy (no corrections) is -0.254 hartree per atom. The crystal system is tetragonal. The value obtained for the formation energy is -65.50 kcal/mol of atoms.

a = 11.033 Å, b = 11.033 Å, c = 11.033 Å
α = 110.27°, β = 110.27°, γ = 107.88°
Fractional coordinates of all 80 atoms:
K  0.125  0.375  0.750
K  0.375  0.125  0.250
K  0.625  0.875  0.750
K  0.875  0.625  0.250
Ca  0.127  0.250  0.377
Ca  0.250  0.373  0.123
Ca  0.250  0.873  0.623
Ca  0.373  0.750  0.123
Ca  0.627  0.250  0.877
Ca  0.750  0.127  0.377
Ca  0.750  0.627  0.877
Ca  0.873  0.750  0.623
Mg  0.000  0.000  0.000
Mg  0.000  0.000  0.500
Mg  0.000  0.500  0.000
+++

This doesn’t just mean a basic understanding of what a staffing and recruitment agency does either. This knowledge should extend to the point where your industry is one of their specialties and they have a thorough understanding of all the ins and outs of what businesses in your industry have to deal with. By having this, it will help them to know everything that they can do in order to help maximize the amount of money that your business is able to save and optimize the entire accounting process. 

Luckily, this is something that 74 percent of businesses already know to look for when it comes to choosing their accountants. But for those remaining 26 percent of small businesses, it is important that they take an honest look at how well their current accounting firm understands their industry. If you have noticed that your current accounting firm doesn’t have the level of intimacy with your industry that you would prefer, then it is a clear sign that you should probably make the switch over to one that does.

It is Difficult to Reach Them

When you need to talk to your accountant, this should be a process that is as simple as picking up the phone or typing out a quick email. But if you don’t get a response after a couple of hours, it can be particularly frustrating. 

Timely communication is of the utmost importance, especially when it comes to managing the financial side of a business, which means that you should always have an accounting agency that is easy to get in touch with. Once you start to feel neglected or left in the wind for hours at a time, this is a big indicator that you should start shopping around for a new agency to take over your accounting needs. 

The Agency Has Undergone Major Organizational Changes

Whenever a company experiences any sort of big organizational changes, there is always the risk that whatever company is left is not going to be the same one that you have grown familiar with. This isn’t necessarily a bad thing but is certainly going to be a jarring experience. 

Hopefully, these changes are for the better and have further improved the accounting agency that you already know and love. However, if the agency now seems like it is no longer able to act in your best interest as a result of these major organizational changes, then there is no use trying to stick with them while they spend the next several months or even years trying to figure out how to work out the kinks in their new system. 

Instead, you should find an accounting firm that has found a tried and true organizational structure that will help them put your needs at the top of their priority list. 

You Pay Too Much

The entire point of an accounting agency is to help you save as much money as possible through the smart management of your tax records and transactions. Therefore, if you are spending far too much on these accounting services, then it is essentially not helping you get ahead at all. That’s why you need to keep an eye on how much you are spending on your current accounting services and be very aware of how these costs compare to those charged by other leading competitor agencies. 

_Inserted here: crystal structures_
The following is a PBE-GGA calculation of a relaxed structure of RbC2O2, from Materials Project. Values from VASP.

Cell and atoms, written as Quantum ESPRESSO input:
```
&SYSTEM
  ibrav = 0, nat = 10, ntyp = 3
/
ATOMIC_SPECIES
O 16.00 O.upf
C 12.01 C.upf
Rb 85.47 Rb.upf
CELL_PARAMETERS angstrom
3.9440 -5.2263 -0.5243
5.4987 0.1703 3.5888
-2.1261 -2.0304 3.4677
ATOMIC_POSITIONS crystal
O 0.1228 0.6507 0.2784
O 0.3493 0.8772 0.7216
O 0.6507 0.1228 0.2784
O 0.8772 0.3493 0.7216
C 0.9448 0.1575 0.6020
C 0.8425 0.0552 0.3980
C 0.1575 0.9448 0.6020
C 0.0552 0.8425 0.3980
Rb 0.6580 0.6580 0.2015
Rb 0.3420 0.3420 0.7985
```

Symmetry ... C2/m (12)

The following is a PBE-GGA calculation of a relaxed structure of Rb4CO4, from Materials Project. Values from VASP.

Cell and atoms, written as Quantum ESPRESSO input:
```
&SYSTEM
  ibrav = 0, nat = 9, ntyp = 3
/
ATOMIC_SPECIES
Rb 85.47 Rb.upf
O 16.00 O.upf
C 12.01 C.upf
CELL_PARAMETERS angstrom
-2.7745 3.2240 5.2316
2.7745 -3.2240 5.2316
2.7745 3.2240 -5.2316
ATOMIC_POSITIONS crystal
Rb 0.1192 0.1786 0.5852
Rb 0.5935 0.5340 0.4148
Rb 0.8808 0.4660 0.0595
Rb 0.4065 0.8214 0.9405
O 0.7897 0.0662 0.0193
O 0.0469 0.7704 0.9807
O 0.9531 0.9338 0.7235
O 0.2103 0.2296 0.2765
C 0.0000 0.0000 0.0000
```

Polymorph energy (0 for the lowest one) ... 5 meV/atom
Symmetry ... I222 (23)

The following is a PBE-GGA calculation of a relaxed structure of Rb4CO4, from Materials Project. Values from VASP.

Cell and atoms, written as Quantum ESPRESSO input:
```
&SYSTEM
  ibrav = 0, nat = 9, ntyp = 3
/
ATOMIC_SPECIES
Rb 85.47 Rb.upf
O 16.00 O.upf
C 12.01 C.upf
CELL_PARAMETERS angstrom
4.1088 -4.0934 0.0000
4.1088 4.0934 0.0000
0.0306 0.0000 5.7998
ATOMIC_POSITIONS crystal
Rb 0.9402 0.9145 0.4787
Rb 0.4787 0.9402 0.9145
Rb 0.9145 0.4787 0.9402
Rb 0.4807 0.4807 0.4807
O 0.0616 0.0616 0.0616
O 0.3442 0.3545 0.0606
O 0.3545 0.0606 0.3442
O 0.0606 0.3442 0.3545
C 0.2054 0.2054 0.2054
```

Polymorph energy (0 for the lowest one) ... 69 meV/atom
Maximum piezoelectric response ... 1.3 C/m²
Symmetry ... R3 (146)

The following is a PBE-GGA calculation of a relaxed structure of Rb4C2O9, from Materials Project. Values from VASP.

Cell and atoms, written as Quantum ESPRESSO input:
```
&SYSTEM
  ibrav = 0, nat = 30, ntyp = 3
/
ATOMIC_SPECIES
O 16.00 O.upf
C 12.01 C.upf
Rb 85.47 Rb.upf
CELL_PARAMETERS angstrom
-1.1070 -5.2995 -7.8220
1.2043 -7.6647 5.5041
-6.2454 -4.7745 0.2358
ATOMIC_POSITIONS crystal

If you find that it is too high, then you may be able to work out a deal, especially with a firm that you have been working with for many years. However, if a deal is not able to be reached, then you shouldn’t stay with them and continue to pay out of the nose simply because it’s easier than making the switch to a new accountant. 

While there are plenty of ways that you can help to reduce your current accounting costs, there are no methods that are as effective as switching to a new accounting agency. So don’t waste your time with changes that aren’t going to have much of an impact and instead find a firm that is going to charge you a much more reasonable price for the same quality of accounting services. 

The Technology Used is Outdated

As a staffing agency, you likely value technology that can help to streamline your operations. As a result, you should be able to expect the same thing from your accounting firm. Unfortunately, not all accounting firms are up to date on the latest and greatest technological advances within the money management industry. As a result, a lot of the technology that they might be using is outdated and makes providing you with accurate and timely bookkeeping information a much bigger challenge. 

If this is the case, then it may be time to go to an accounting firm that embraces the latest technology and uses it to help streamline your financial needs. 

Regardless of which of these reasons you cite for wanting to switch to a new accounting firm, it is important that you pick one that is going to benefit your business. That’s why you should trust our professionals at AdminAssist who are able to serve as your expert outsourced accounting team. To find out how we can help your business, contact us today.